“Peace Caravans” Encourage Local Dialogues to Head Off Tensions in Côte d’Ivoire

Politically Speaking
We The Peoples
Published in
5 min readApr 24, 2023

Calculated crystals from another source follow =
____________
Record 1
The following is a GGA-PBE calculation of an optimized crystal structure of VTc2Ru, from the Alexandria database.

Cell: 4.322 4.322 4.322 Å, 60.00 60.00 60.00°
Sites, in units of the cell vectors:
V1 0.000 0.000 0.000
Tc1 0.250 0.250 0.250
Tc2 0.750 0.750 0.750
Ru1 0.500 0.500 0.500

Polymorph energy (0 for the lowest one): 0.122 eV/atom
Energy of formation from the pure elements: 118.7 meV per atom
Total magnetic moment: 0.00 μB/f.u.
Calculated density: 10124 kg/m³

---

Record 2
The following is a GGA-PBE calculation of an optimized crystal structure of LaBi3Pd, from the Alexandria database.

Cell: 13.329 6.591 6.503 Å, 90.00 90.00 90.00°
Sites, in units of the cell vectors:
La1 0.196 0.008 0.250
La2 0.196 0.492 0.750
La3 0.804 0.508 0.250
La4 0.804 0.992 0.750
Bi1 0.001 0.250 0.000
Bi2 0.001 0.250 0.500
Bi3 0.267 0.511 0.250
Bi4 0.267 0.989 0.750
Bi5 0.448 0.610 0.750
Bi6 0.448 0.890 0.250
Bi7 0.552 0.110 0.750
Bi8 0.552 0.390 0.250
Bi9 0.733 0.011 0.250
Bi10 0.733 0.489 0.750
Bi11 0.999 0.750 0.000
Bi12 0.999 0.750 0.500
Pd1 0.392 0.250 0.000
Pd2 0.392 0.250 0.500
Pd3 0.608 0.750 0.000
Pd4 0.608 0.750 0.500

Polymorph energy (0 for the lowest one): 0.000 eV/atom
Energy of formation from the pure elements: -578.0 meV per atom
Total magnetic moment: 0.00 μB/f.u.
Calculated density: 10142 kg/m³

---

Record 3
The following is a GGA-PBE calculation of an optimized crystal structure of Ti2TcPdC, from the Alexandria database.

Cell: 4.213 4.213 3.952 Å, 90.00 90.00 90.00°
Sites, in units of the cell vectors:
Ti1 0.000 0.500 0.000
Ti2 0.500 0.000 0.000
Tc1 0.000 0.000 0.500
Pd1 0.500 0.500 0.500
C1 0.000 0.000 0.000

Energy of formation from the pure elements: -439.7 meV per atom
Total magnetic moment: 0.00 μB/f.u.
Calculated density: 7390 kg/m³

---

Record 4
The following is a GGA-PBE calculation of an optimized crystal structure of Cs2RbS, from the Alexandria database.

Cell: 6.529 6.529 6.529 Å, 60.00 60.00 60.00°
Sites, in units of the cell vectors:
Cs1 0.250 0.250 0.250
Cs2 0.750 0.750 0.750
Rb1 0.000 0.000 0.000
S1 0.500 0.500 0.500

Energy relative to the elements, uncorrected: -0.322 eV per atom
Polymorph energy (0 for the lowest one): 0.350 eV/atom
Total magnetic moment: 0.63 μB/f.u.
Calculated density: 3234 kg/m³

---

Record 5
The following is a GGA-PBE calculation of an optimized crystal structure of Cr2InPt, from the Alexandria database.

Cell: 4.737 4.737 3.019 Å, 90.00 90.00 102.74°
Sites, in units of the cell vectors:
Cr1 0.000 0.500 0.000
Cr2 0.500 0.000 0.000
In1 0.000 0.000 0.500
Pt1 0.500 0.500 0.500

Energy of formation from the pure elements: 159.9 meV per atom
Total magnetic moment: 7.03 μB/f.u.
Calculated density: 10401 kg/m³

---

Record 6
The following is a GGA-PBE calculation of an optimized crystal structure of DyTlPtAu, from the Alexandria database.

Cell: 4.928 4.928 4.928 Å, 60.00 60.00 60.00°
Sites, in units of the cell vectors:
____________

The social cohesion project — launched by the UN Office for West Africa and the Sahel (UNOWAS) — brings divergent groups together through the interchange of ideas.

A traditional Chief speaking in Duekoue during a Peace Caravan intercommunity dialogue. Photo credit: UNOWAS

**Between two parts of the article: records of crystals:**
~~~
(1)
Here is a relaxed structure of InFe3W from Alexandria. Energies are from PBE.

```
InFe3W
1.0
-2.743 0.751 -3.539
1.095 -4.060 -1.711
-3.448 -1.887 2.272
Fe W In
3 1 1
direct
0.500 0.000 0.000
0.000 0.000 0.500
0.000 0.500 0.000
0.000 0.000 0.000
0.500 0.500 0.500
```

The relative energy among the computed polymorphs comes out at 0.0 meV/atom. The calculated formation energy is 1.3672 eV/atom. Its total magnetic moment is 4.88 μB per cell. The volume is 93.57 Å³ per cell. As for the space group: Pm-3m, No. 221. For the total energy, the calculation gives -6.849 eV per atom.


(2)
Here is a relaxed structure of In3FeW from Alexandria. Energies are from PBE.

```
In3FeW
1.0
5.269 0.000 0.000
0.000 5.269 0.000
0.000 0.000 5.269
W Fe In
1 1 3
direct
0.000 0.000 0.000
0.500 0.500 0.500
0.000 0.500 0.000
0.500 0.000 0.000
0.000 0.000 0.500
```

The relative energy among the computed polymorphs comes out at 0.0 meV/atom. The calculated formation energy is 1.3161 eV/atom. Its total magnetic moment is 3.74 μB per cell. The volume is 146.26 Å³ per cell. As for the space group: Pm-3m, No. 221. For the total energy, the calculation gives -4.610 eV per atom.


(3)
Here is a relaxed structure of InFeW from Alexandria. Energies are from PBE.

```
InFeW
1.0
-2.775 6.415 -0.695
-3.512 5.540 1.886
2.174 1.794 0.163
In Fe W
1 1 1
direct
0.339 0.339 0.661
0.007 0.007 0.993
0.654 0.654 0.346
```

The relative energy among the computed polymorphs comes out at 135.3 meV/atom. The calculated formation energy is 0.4468 eV/atom. Its total magnetic moment is 2.37 μB per cell. The volume is 49.60 Å³ per cell. As for the space group: Fmm2, No. 42. For the total energy, the calculation gives -7.605 eV per atom.


> Look up the total magnetic moment of the second one.

3.74 μB per cell


> Which value of relative energy among the computed polymorphs does entry 1 give?

0.0 meV/atom


What did the third record say?
Here is a relaxed structure of InFeW from Alexandria. Energies are from PBE.

```
InFeW
1.0
-2.775 6.415 -0.695
-3.512 5.540 1.886
2.174 1.794 0.163
In Fe W
1 1 1
direct
0.339 0.339 0.661
0.007 0.007 0.993
0.654 0.654 0.346
```

The relative energy among the computed polymorphs comes out at 135.3 meV/atom. The calculated formation energy is 0.4468 eV/atom. Its total magnetic moment is 2.37 μB per cell. The volume is 49.60 Å³ per cell. As for the space group: Fmm2, No. 42. For the total energy, the calculation gives -7.605 eV per atom.


Copy entry 1 word for word.
Here is a relaxed structure of InFe3W from Alexandria. Energies are from PBE.

```
InFe3W
1.0
-2.743 0.751 -3.539
1.095 -4.060 -1.711
-3.448 -1.887 2.272
Fe W In
3 1 1
direct
0.500 0.000 0.000
0.000 0.000 0.500
0.000 0.500 0.000
0.000 0.000 0.000
0.500 0.500 0.500
```
~~~

One bright summer morning last year, hundreds of people gathered in Guézon, a town in western Côte d’Ivoire, for a “Peace Caravan” inter-community dialogue on social cohesion. This initiative, like the “Peace Caravans” in Guinea, was part of a multi-country project led by DPPA and UNOWAS aimed at creating a space where community members could discuss social divides and identify solutions to common problems. The Peace Caravans were held at locations chosen based on the prevalence of conflicts and the presence of multi-ethnic communities.

The impetus for the event occurred in December 2020, when what started as a simple dispute between one youth from outside Guézon and a local hunter turned into violent intercommunity clashes . The incident caused the death of five people; several others were injured, dozens of homes were set on fire, and some residents fled for their lives. The level of violence revealed the persistence of latent conflicts linked to land and national identity. Over a year later, tension between the communities remained palpable.

Last summer’s event in Guézon was held against this backdrop. “The atmosphere inside the yard was tense,” said Grace Kpohazounde, the UN Peace and Development Advisor in Côte d’Ivoire, who helped organize the caravans. “Everyone seemed to remember the painful episodes that struck the city over a year ago.”

-- Between two parts of the text: crystal structures --
'''
Below is crystalline InWF6 at its relaxed geometry, with properties calculated at the GGA+U level.

Lattice parameters (Å, degrees): 6.9040 8.0316 5.3139 90.00 97.85 90.00
Space group C2/m (No. 12)
Symmetry-distinct sites (fractional):
In1 0.0000 0.0000 0.0000 [2 per cell]
W1 0.0000 0.5000 0.5000 [2 per cell]
F1 0.0896 0.3357 0.7555 [8 per cell]
F2 0.2380 0.0000 0.6042 [4 per cell]

## Properties
Its energy is -5.14 eV per atom.

=====

[1]
The following is a GGA-PBEsol calculation of an optimized crystal structure of Ta2Ir, from Alexandria via LeMat-Bulk.

Structure (extended XYZ):
```
6
Lattice="2.975 0.000 0.000 0.000 4.633 0.000 -1.487 0.000 7.146" Properties=species:S:1:pos:R:3 pbc="T T T"
Ir 0.000 1.158 5.750
Ir 1.487 3.475 1.396
Ta 0.000 1.158 1.032
Ta 0.000 3.475 3.610
Ta 1.487 1.158 3.536
Ta 1.487 3.475 6.114
```

Properties
Space-group type: Cmcm, No. 63
Uncorrected energy (eV per atom): -11.980
Formation enthalpy at 0 K (meV/atom): -338
Spin magnetization (μB/atom): 0.000

=====

[2]
The following is a GGA-PBEsol calculation of an optimized crystal structure of RhAu, from Alexandria via LeMat-Bulk.

Structure (extended XYZ):
```
4
Lattice="2.779 0.000 0.000 0.000 4.773 0.003 -1.389 -2.220 4.588" Properties=species:S:1:pos:R:3 pbc="T T T"
Au 0.000 -1.407 3.482
Au 1.389 3.961 1.109
Rh 1.389 0.963 3.369
Rh 0.000 1.591 1.223
```

Properties
Space-group type: C2/m, No. 12
Uncorrected energy (eV per atom): -5.809
Formation enthalpy at 0 K (meV/atom): 222
Spin magnetization (μB/atom): 0.003

=====

[3]
The following is a GGA-PBEsol calculation of an optimized crystal structure of CaScSnC2, from Alexandria via LeMat-Bulk.

Structure (extended XYZ):
```
5
Lattice="4.376 0.000 0.000 0.000 4.376 0.000 0.000 0.000 5.333" Properties=species:S:1:pos:R:3 pbc="T T T"
Sc 2.188 2.188 2.666
C 0.000 2.188 0.000
C 2.188 0.000 0.000
Ca 0.000 0.000 0.000
Sn 0.000 0.000 2.666
```

Properties
Space-group type: P4/mmm, No. 123
Uncorrected energy (eV per atom): -4.462
Formation enthalpy at 0 K (meV/atom): 1995
Spin magnetization (μB/atom): 0.000

=====

[4]
The following is a GGA-PBEsol calculation of an optimized crystal structure of YBe2Ni, from Alexandria via LeMat-Bulk.

Structure (extended XYZ):
```
4
Lattice="3.765 0.000 0.000 -1.882 3.264 -0.108 0.000 -1.979 4.761" Properties=species:S:1:pos:R:3 pbc="T T T"
Y 1.882 1.134 1.156
Ni 1.882 -0.951 3.253
Be 1.882 1.250 3.823
Be 0.000 0.147 3.453
```

Properties
Space-group type: Cm, No. 8
Uncorrected energy (eV per atom): -5.493
Formation enthalpy at 0 K (meV/atom): -248
Energy above the most stable polymorph in this dataset (meV/atom): 11
Spin magnetization (μB/atom): 0.000

=====

[5]
The following is a GGA-PBEsol calculation of an optimized crystal structure of BaBe2W, from Alexandria via LeMat-Bulk.

Structure (extended XYZ):
```
4
Lattice="3.334 0.000 0.000 0.000 3.511 -0.011 0.000 -1.731 6.375" Properties=species:S:1:pos:R:3 pbc="T T T"
Be 0.000 0.658 0.627
Be 1.667 0.667 1.891
Ba 1.667 0.681 4.906
'''

Participants at the Peace Caravan in Guézon. Photo credit: UNOWAS

Local solutions to local problems

A local woman who attended the dialogue shared her thoughts with Kpohazounde and M. Falley, the Director General of Social Cohesion at the Ministry of Reconciliation and National Cohesion. “I did not want to participate in the dialogue,” she said. “I did not feel comfortable with members from the other [non-native] community. What happened is unfair. They are not natives of this locality, yet we welcomed them, gave them land and they can’t even respect our customs. At least with this dialogue, I have the opportunity to express myself freely on what happened,” she said.

“We explained to her that while she feels this injustice, the non-natives also feel that no matter how hard they try to integrate, they continue being considered as ‘strangers,’ and sometimes feel marginalized,” said Kpohazounde. “We tried to make participants see the conflict dynamics from the other perspective.”

The UN also organized dialogues in 10 other localities in the country experiencing intercommunity conflict: Bangolo, Daoukro, Douekpe, Duekoue, Laberaba, M’Batto, N’Douci, Odienne, Ouangolodougou and Tagadi. In Odienne in the northwest, intercommunity violence over control of territory in July 2022 led to the death of three youth.

Odienne, North-West: exchange with local authorities and security forces on recent intercommunity conflicts in the town. Photo credit: UNOWAS

In N’Douci in the southeast, tensions between two groups of youths led to one death. The cause of these tensions was rivalry between native and non-native youth involved in the same commercial activities.

In the northeastern region, conflicts mostly related to transhumance (the movement of livestock) intensified as a result of the increase in cross-border population movement across the Sahel region. The inter-community dialogues gave an opportunity for communities to have open and frank discussions about the problems that undermine social cohesion and identify solutions to those problems.

The Peace Caravan in M’Batto, a town in south-central Côte d’Ivoire, was attended by M. Kassi Kadio Eugène, the local Member of Parliament for M’Batto. In the aftermath of the 2020 presidential election, there were clashes in M’Batto between its various communities. “Since the incidents that took place in November 2020, this is the first time I am engaging with the cadre of the non-native community,” he said.

Mbatto, Center region: groups of youth, elders and women dancing at the end of an intercommunity dialogue. Photo credit: UNOWAS

Speaking after the event, he said that “before the organization of the inter-community dialogue in our city, we were not really speaking to each other. And as time went by, the tension became more and more tangible. We risked that this situation would increase the probability of new conflicts.”

In the northern and eastern regions, the inter-community dialogues were particularly useful in bringing together the population with the local administration, including the defense and security forces. These efforts complemented other UN initiatives in the region funded by the Secretary-General’s Peacebuilding Fund. These included a cross-border project between Côte d’Ivoire and Burkina-Faso to enhance governance and social services in the Bounkani and Tchologo regions in the North-East, and a project for an inclusive and community-based management of natural resources in the Gontougo region.

The dialogues in the northern regions were critical in fostering open discussions between farmer and herder communities in the context of transhumance-related tensions. In the west, south and centre regions, the project facilitated intergenerational and interethnic dialogues. In the west, discussions also focused on innovative ways to address persistent land conflicts.

Around 2,000 individuals — including women, youth, and traditional and religious leaders — participated in the dialogues throughout Côte d’Ivoire. The recommendations made during the dialogues are being followed up by local peace committees.

The link between local social cohesion and national peacebuilding

By promoting social inclusion and cohesion in community levels, DPPA and UNOWAS aimed to help consolidate the national political dialogue and reconciliation efforts that were carried out by the Government after the October 2020 presidential election. There have been positive developments in the national peacebuilding context, such as a peaceful legislative election in March 2021; a fourth and fifth round of political dialogue from November 2021 to March 2022; high level meetings between the current President and his political opponents, former Presidents Henri Konan Bédié and Laurent Gbagbo; and an inclusive celebration of the National Peace Day in November 2022, with the participation of opposition figures previously in exile. Nevertheless, several root causes and drivers of recurring conflict require attention, such as land issues, national identity, transhumance-related conflicts, and political tensions.

The implementation of the social cohesion project in Côte d’Ivoire was conceived in partnership with the Ministry of Reconciliation and National Cohesion, which has also integrated these initiatives into its broader strategy for reconciliation and national cohesion.

“The initiative has contributed towards the achievement of the Sustainable Development Goals,” underlined UN Resident Coordinator Philippe Poinsot, “because social cohesion, human rights and peace are all determining factors in their success.”




Politically Speaking
We The Peoples

The online magazine of the United Nations Department of Political and Peacebuilding Affairs